
Solaris Quotes

Solaris by Stanisław Lem
[Next to the text, the page also holds materials data]
'''
Material: Sm2Ga9Ir3
Method: DFT, r2SCAN
State: relaxed Values from VASP.

Quantum ESPRESSO input file:
```
&SYSTEM
  ibrav = 0, nat = 28, ntyp = 3
/
ATOMIC_SPECIES
Sm 150.36 Sm.upf
Ga 69.72 Ga.upf
Ir 192.22 Ir.upf
CELL_PARAMETERS angstrom
6.5196 -3.7825 0.0000
6.5196 3.7825 0.0000
0.0000 0.0000 9.5352
ATOMIC_POSITIONS angstrom
Sm 4.3755 2.5239 7.1514
Sm 8.6637 2.5239 7.1514
Sm 4.3755 -2.5239 2.3838
Sm 8.6637 -2.5239 2.3838
Ga 4.3532 2.5091 0.7369
Ga 4.3532 2.5091 4.0307
Ga 6.5196 2.7903 2.3838
Ga 8.6860 2.5091 0.7369
Ga 8.6860 2.5091 4.0307
Ga 6.5196 1.2518 5.3772
Ga 6.5196 1.2518 8.9256
Ga 5.1816 0.4473 2.3838
Ga 5.1816 -0.4473 7.1514
Ga 7.8576 0.4473 2.3838
Ga 7.8576 -0.4473 7.1514
Ga 6.5196 -1.2518 0.6096
Ga 6.5196 -1.2518 4.1580
Ga 4.3532 -2.5091 5.5045
Ga 4.3532 -2.5091 8.7984
Ga 6.5196 -2.7903 7.1514
Ga 8.6860 -2.5091 5.5045
Ga 8.6860 -2.5091 8.7984
Ir 0.0000 0.0000 0.0000
Ir 0.0000 0.0000 4.7676
Ir 4.2908 0.0000 0.0000
Ir 4.2908 0.0000 4.7676
Ir 8.7484 0.0000 0.0000
Ir 8.7484 0.0000 4.7676
```

Computed properties:
Volume   470.28 Å³ per cell
Energy of formation   -0.77 eV per atom
Symmetry   Cmcm

=====

Material: Tm2SiO5
Method: DFT, r2SCAN
State: relaxed Values from VASP.

Quantum ESPRESSO input file:
```
&SYSTEM
  ibrav = 0, nat = 32, ntyp = 3
/
ATOMIC_SPECIES
Tm 168.93 Tm.upf
Si 28.09 Si.upf
O 16.00 O.upf
CELL_PARAMETERS angstrom
9.0247 0.0000 0.0000
0.0000 6.6634 0.0000
-1.4393 0.0000 6.4442
ATOMIC_POSITIONS angstrom
Tm -0.0471 0.7986 1.4874
Tm -0.7667 2.5331 4.7095
Tm 3.2105 0.9385 0.1322
Tm 2.4908 2.3932 3.3544
Tm 5.0945 4.2702 3.0899
Tm 4.3749 5.7249 6.3120
Tm 8.3521 4.1302 1.7347
Tm 7.6324 5.8648 4.9569
Si 2.6799 3.9660 0.0481
Si 1.9602 6.0290 3.2702
Si 5.6251 0.6343 3.1740
Si 4.9055 2.6973 6.3961
O -0.3511 0.8060 5.9845
O 0.3685 2.5257 2.7624
O -0.3777 4.2894 6.3176
O 0.3420 5.7056 3.0955
O 2.1572 0.4175 2.0040
O 1.4375 2.9141 5.2261
O 2.2473 0.4095 4.4781
O 2.9669 2.9222 1.2560
O 2.8660 4.7034 3.2736
O 3.5856 5.2917 0.0515
O 3.9997 1.3717 6.3927
O 4.7194 1.9600 3.1706
O 4.6184 3.7412 5.1882
O 5.3381 6.2539 1.9661
O 6.1478 3.7492 1.2181
O 5.4282 6.2458 4.4402
O 7.2433 0.9577 3.3487
O 7.9630 2.3739 0.1266
O 7.2168 4.1377 3.6818
O 7.9365 5.8574 0.4597
```

Computed properties:
Volume   387.52 Å³ per cell
Energy of formation   -3.72 eV per atom
Symmetry   P2_1/c

=====

Material: Hg3TeCl4
Method: DFT, r2SCAN
State: relaxed Values from VASP.

Quantum ESPRESSO input file:
```
&SYSTEM
  ibrav = 0, nat = 64, ntyp = 3
/
ATOMIC_SPECIES
Hg 200.59 Hg.upf
Te 127.60 Te.upf
Cl 35.45 Cl.upf
CELL_PARAMETERS angstrom
11.7565 0.0000 0.0000
0.0000 12.3805 0.0000
0.0000 0.0000 12.8580
ATOMIC_POSITIONS angstrom
Hg 1.0634 1.1617 2.3105
Hg 1.0634 5.0286 8.7395
Hg 2.1786 8.4337 9.9621
Hg 2.1786 10.1371 3.5331
Hg 2.5418 1.0362 6.2814
Hg 2.5418 5.1541 12.7104
Hg 3.3365 7.2264 6.2814
Hg 3.3365 11.3444 12.7104
Hg 3.6997 2.2434 9.9621
Hg 3.6997 3.9468 3.5331
Hg 4.8148 7.3520 2.3105
Hg 4.8148 11.2188 8.7395
Hg 6.9417 1.1617 4.1186
Hg 6.9417 5.0286 10.5476
'''

Solaris Quotes
"I stood, or rather hung suspended, in a bed of air, all of one piece with my metal shell."
"I waited for the stars to start smoking. I didn’t get to see it. They merely began to fade and disappear, dissolving against a reddening background."
"I hadn’t come all this way only to perish at my destination."
"Solaris Station. Zero and zero. Docking complete. Over and out."
"I stood beneath a silver funnel high as a nave."
"I don’t know you, I don’t know you, what do you want. . . ?"
"For a split second I felt a twinge of nausea in the pit of my stomach."
"The truth was, I really didn’t want to go in."
"In essence, the stakes are higher than exploring the civilization of Solaris; this is about us ourselves, about the limits of human cognition."
"Is a mountain a very large rock? Is a planet a huge mountain?"
"I hadn’t been traveling for sixteen months just to be brought to a halt by some playacting of yours!!"
"I must have gone mad, immediately after I landed."
"It’s not just in sickness; even in the most ordinary dream we find ourselves conversing with people we do not know in our waking life."
"Both lists of figures matched as I had predicted, to the fourth decimal place."
"So the calculator existed independently of me; this meant that the Station and everything on it was also real."
"I was not mad. The last ray of hope had faded."
"I’d carried out my calculations in a kind of silent doggedness that had been the only thing keeping me on my feet."
"I don’t know when I fell asleep; the light was still on."
"My first thought was: 'I’m glad this is one of those dreams where you know you’re dreaming.'"
"You poor little thing, you’ve come to visit me, huh?"
"All the same, I wished it would end. I need to get to work, after all."
"I have the feeling that I always have to... be able to see you."
**Someone pasted records of crystals at this point**
┌──
1.
Density functional theory data (GGA-PBE) for a geometry-optimized H5PbCI3N2 structure.

Geometry as POSCAR:
```
H5PbCI3N2
1.0
-0.888 4.669 4.214
-5.922 -2.307 1.308
2.497 -3.754 4.686
I N C Pb H
3 2 1 1 5
Direct
0.984 0.000 0.500
0.463 0.000 0.000
0.921 0.500 0.000
0.427 0.500 0.320
0.427 0.500 0.680
0.520 0.500 0.500
0.965 0.000 0.000
0.267 0.500 0.299
0.518 0.500 0.191
0.692 0.500 0.500
0.267 0.500 0.701
0.518 0.500 0.809
```

Results
For the size of the total moment, the calculation gives 0.00 μB/cell. For the calculated density, the calculation gives 3.92 Mg/m³. The calculation puts the corrected total energy (MP2020 scheme) at -56.3 eV per formula unit. The calculation puts the calculated formation energy at -0.43 eV/atom.



2.
Density functional theory data (GGA-PBE) for a geometry-optimized H12PbC2I6N2 structure.

Geometry as POSCAR:
```
H12PbC2I6N2
1.0
-1.704 -4.077 7.492
8.201 1.387 2.622
-3.381 11.381 5.431
I Pb H C N
12 2 24 4 4
Direct
0.531 0.479 0.271
0.815 0.300 0.509
0.724 0.162 0.007
0.202 0.263 0.006
0.343 0.188 0.510
0.007 0.975 0.243
0.831 0.682 0.010
0.713 0.769 0.505
0.523 0.472 0.744
0.019 0.991 0.770
0.305 0.791 0.006
0.235 0.671 0.505
0.520 0.483 0.508
0.015 0.972 0.007
0.998 0.620 0.770
0.952 0.279 0.788
0.821 0.547 0.284
0.453 0.179 0.780
0.954 0.687 0.281
0.516 0.983 0.167
0.016 0.487 0.667
0.439 0.059 0.880
0.944 0.565 0.381
0.935 0.403 0.883
0.031 0.480 0.168
0.380 0.002 0.270
0.651 0.980 0.771
0.589 0.189 0.284
0.021 0.350 0.276
0.148 0.479 0.773
0.811 0.412 0.786
0.163 0.499 0.273
0.721 0.047 0.288
0.501 0.839 0.776
0.520 0.852 0.275
0.313 0.046 0.785
0.517 0.966 0.667
0.593 0.066 0.382
0.532 0.955 0.750
0.045 0.468 0.251
0.030 0.503 0.750
0.498 0.970 0.250
0.428 0.067 0.802
0.935 0.573 0.302
0.926 0.393 0.805
0.607 0.074 0.304
```

Results
For the size of the total moment, the calculation gives 0.00 μB/cell. For the calculated density, the calculation gives 3.46 Mg/m³. The calculation puts the corrected total energy (MP2020 scheme) at -96.3 eV per formula unit. The calculation puts the calculated formation energy at -0.33 eV/atom.



3.
Density functional theory data (GGA-PBE) for a geometry-optimized H5PbC2SIN6 structure.

Geometry as POSCAR:
```
H5PbC2SIN6
1.0
-11.223 -4.259 1.566
2.545 -4.345 6.420
-1.160 6.025 8.074
I H N S C Pb
4 20 24 4 8 4
Direct
0.370 0.845 0.139
0.630 0.155 0.861
0.130 0.345 0.139
0.870 0.655 0.861
0.073 0.673 0.178
0.368 0.195 0.751
0.194 0.588 0.894
0.601 0.261 0.089
0.927 0.327 0.822
0.132 0.695 0.751
0.094 0.853 0.056
0.632 0.805 0.249
0.101 0.239 0.911
0.906 0.147 0.944
0.594 0.647 0.944
0.573 0.827 0.822
0.306 0.088 0.894
0.399 0.739 0.911
0.406 0.353 0.056
0.806 0.412 0.106
0.427 0.173 0.178
0.899 0.761 0.089
0.868 0.305 0.249
0.694 0.912 0.106
0.295 0.186 0.806
0.449 0.588 0.650
0.130 0.064 0.558
0.205 0.686 0.806
0.786 0.862 0.275
0.059 0.802 0.150
0.057 0.165 0.862
0.557 0.335 0.138
0.949 0.912 0.350
0.705 0.814 0.194
0.943 0.835 0.138
0.441 0.302 0.150
0.286 0.638 0.725
└──
"The terrible thoughts moving through my mind were growing more and more distinct."
"I was penetrated through and through, embraced without being touched."
"I was beyond fear and despair. I was further on; no one had ever gone that far."
"I wasn’t afraid of anything. I stopped struggling. I fell asleep almost immediately."
"It’s just a door, you know, they have these kind of doors here."
"I wasn’t afraid of it. I wasn’t afraid of anything."
"For quite a while, I think. Do you not want that?"
What comes next are records of crystals, not part of the piece:
## P
A geometry-optimized SrYCoO4 structure, computed with PBE with a Hubbard U.

Lattice parameters (Å, degrees): 5.342 8.597 8.636 89.22 71.99 71.90
Space group P1 (No. 1)
Asymmetric unit:
Sr 0.000 0.000 0.000
Sr 0.241 0.259 0.259
Sr 0.500 0.500 0.500
Sr 0.741 0.759 0.759
Y 0.261 0.522 0.955
Y 0.488 0.796 0.232
Y 0.761 0.023 0.455
Y 0.987 0.296 0.732
Co 0.247 0.900 0.606
Co 0.498 0.142 0.862
Co 0.747 0.400 0.106
Co 0.998 0.642 0.362
O 0.012 0.450 0.526
O 0.112 0.273 0.993
O 0.121 0.773 0.493
O 0.231 0.739 0.798
O 0.276 0.028 0.418
O 0.370 0.047 0.702
O 0.382 0.547 0.201
O 0.462 0.346 0.728
O 0.511 0.951 0.026
O 0.612 0.773 0.494
O 0.621 0.274 0.993
O 0.731 0.239 0.298
O 0.779 0.528 0.918
O 0.870 0.546 0.202
O 0.882 0.047 0.702
O 0.959 0.847 0.229

=====

## Q
A geometry-optimized SrYCoO4 structure, computed with PBE with a Hubbard U.

Lattice parameters (Å, degrees): 3.781 3.781 12.297 90.00 90.00 90.00
Space group I4mm (No. 107)
Asymmetric unit:
Sr 0.000 0.000 0.000
Y 0.000 0.000 0.716
Co 0.000 0.000 0.356
O 0.000 0.000 0.193
O 0.000 0.000 0.535
O 0.000 0.500 0.343

=====

Top of the stability list: P, leading by 18 meV per atom.

=====

## P
A geometry-optimized FeSO8 structure, computed with PBE with a Hubbard U.

Lattice parameters (Å, degrees): 6.454 8.512 12.383 104.44 95.44 90.02
Space group P-1 (No. 2)
Asymmetric unit:
Fe 0.156 0.401 0.429
Fe 0.267 0.402 0.772
S 0.062 0.320 0.144
S 0.444 0.722 0.433
O 0.020 0.244 0.465
O 0.023 0.506 0.851
O 0.051 0.295 0.702
O 0.100 0.798 0.915
O 0.125 0.299 0.258
O 0.129 0.554 0.579
O 0.252 0.318 0.087
O 0.310 0.575 0.380
O 0.332 0.869 0.468
O 0.349 0.994 0.763
O 0.351 0.568 0.748
O 0.368 0.851 0.169
O 0.385 0.344 0.881
O 0.419 0.253 0.656
O 0.423 0.311 0.469
O 0.456 0.994 0.210

=====

## Q
A geometry-optimized FeSO8 structure, computed with PBE with a Hubbard U.

Lattice parameters (Å, degrees): 5.772 13.316 9.552 90.00 125.82 90.00
Space group P2_1/c (No. 14)
Asymmetric unit:
Fe 0.206 0.099 0.282
S 0.474 0.106 0.677
O 0.112 0.226 0.263
O 0.171 0.132 0.093
O 0.182 0.584 0.352
O 0.242 0.071 0.493
O 0.258 0.545 0.760
O 0.371 0.086 0.781
O 0.423 0.636 0.106
O 0.447 0.711 0.820

=====

Top of the stability list: Q, leading by 297 meV per atom.

=====

## P
A geometry-optimized Li7Co5O12 structure, computed with PBE with a Hubbard U.

Lattice parameters (Å, degrees): 5.015 8.650 9.698 89.88 80.81 89.86
Space group P1 (No. 1)
Asymmetric unit:
Li 0.000 0.000 0.000
Li 0.000 0.496 0.501
Li 0.240 0.335 0.255
Li 0.245 0.492 0.746
Li 0.249 0.659 0.254
Li 0.251 0.166 0.755
Li 0.252 0.835 0.756
Li 0.258 0.997 0.242
Li 0.742 0.997 0.758
Li 0.749 0.835 0.245
Li 0.750 0.164 0.246
Li 0.752 0.659 0.745
Li 0.755 0.493 0.253
Li 0.763 0.337 0.745
Co 0.000 0.324 0.000
Co 0.000 0.674 0.000
Co 0.001 0.166 0.501
Co 0.498 0.333 0.501
Co 0.499 0.997 0.499
Co 0.500 0.163 0.000
Co 0.500 0.495 0.000
Co 0.500 0.655 0.500
Co 0.500 0.834 0.000
Co 0.999 0.832 0.499
O 0.120 0.489 0.111
O 0.133 0.687 0.611
O 0.136 0.998 0.603
So much for the records of crystals:
"That means that all the proteins, cells, cell nuclei—they’re all just a mask!"
"The actual structure responsible for the functioning of the ‘guest’ is hidden deeper."
"They are not persons, nor are they copies of specific individuals, but rather materialized projections of what our brain contains regarding a particular person."
"When we perform an experiment we learn from the results, in particular from our mistakes, so when we repeat it we introduce corrections."
"What does it mean? That it's not such a bad thing, because with you too, I'm not able to. . ."
"It's fear. I can't even say what it is I'm afraid of, because really I'm not afraid, I just lose myself."
"I don't think I have anything at all anymore. I'd prefer you to do it, but only so we can move forward, or at least look as if we are."
"Maybe tomorrow I'll turn into a green jellyfish? It doesn't depend on me."
"I want you to be here, with me, I don't need anything else!"
"She knows everything? Including that she was already here once before and that you—"
"If they could be broken, I'd smash them, I really would smash all of them!"
"In an inhuman situation you’re trying to behave like a human being. That may be admirable, but it’s also futile."
"We’re all sticking our heads in the sand here, Kelvin, but at least we’re aware of it and we’re not trying to act noble."
"The energy creates a warped stabilizing field. The question is, is that field external or is its source located inside the guest’s body?"
"Think about what kind of person you are. Who are you trying to make happy here? Or save? Yourself? Her?"
"Human beings set out to encounter other worlds, other civilizations, without having fully gotten to know their own hidden recesses, their blind alleys, well shafts, dark barricaded doors."
"As if worthiness was plodding forward and getting bogged down, and drowning in something you don’t understand and never will."
"The experiment wouldn’t do any good. Because if our neurophysiologists can’t read a recording, then how could this utterly alien, black, liquid monster..."
"Solaristics is the posthumous child of long-dead myths, the final flower of mystical yearnings that people no longer have the courage to utter aloud."
"The cornerstone hidden deep in the foundations of this edifice is the hope of Redemption."
"But there’s no room for any of that here. No room. Understand? No, you don’t want to understand. You refuse to understand."
"But this way. . . you can’t handle it and that’s why you’re having this discussion with me. . . and in fact with yourself!"
"You could go and give the ocean a good whipping, for example, to teach it a lesson."
"What if it’s impossible not to be, in this place? What then? You’ll rage in front of Snaut, who’s responsible for everything, huh?"
"But it was you talking with her the other night? You made her give me a sleeping draft for the. . . ? What have you done with her? Tell me!!"
"You’re thinking about human beings. . . This isn’t just poor philosophy, it’s even poor mysticism."